# Activity
Print only the lines further down with the word "eV" in them.

# Data
[1]
VASP calculation (PBE) on a relaxed structure of Th2TaBeIr6.

Cell: 6.455 6.455 6.455 Å, 60.00 60.00 90.00°
Fractional positions:
Th (0.250, 0.750, 0.500)
Th (0.750, 0.250, 0.500)
Ta (0.500, 0.500, 0.000)
Ir (0.229, 0.771, 0.000)
Ir (0.771, 0.771, 0.459)
Ir (0.771, 0.771, 0.000)
Ir (0.229, 0.229, 0.000)
Ir (0.771, 0.229, 0.000)
Ir (0.229, 0.229, 0.541)
Be (0.000, 0.000, 0.000)

Computed properties:
Its total energy is -8.596 eV/atom. For the calculated formation energy, the calculation gives -0.2376 eV/atom.

=====

[2]
VASP calculation (PBE) on a relaxed structure of TaTi2Be2Ir5.

Cell: 3.381 9.137 9.137 Å, 90.00 90.00 90.00°
Fractional positions:
Ti (0.000, 0.825, 0.675)
Ti (0.000, 0.325, 0.825)
Ti (0.000, 0.675, 0.175)
Ti (0.000, 0.175, 0.325)
Ir (0.500, 0.711, 0.425)
Ir (0.500, 0.789, 0.925)
Ir (0.500, 0.500, 0.000)
Ir (0.500, 0.575, 0.711)
Ir (0.500, 0.000, 0.500)
Ir (0.500, 0.425, 0.289)
Ir (0.500, 0.211, 0.075)
Ir (0.500, 0.925, 0.211)
Ir (0.500, 0.075, 0.789)
Ir (0.500, 0.289, 0.575)
Be (0.000, 0.880, 0.380)
Be (0.000, 0.120, 0.620)
Be (0.000, 0.380, 0.120)
Be (0.000, 0.620, 0.880)
Ta (0.000, 0.000, 0.000)
Ta (0.000, 0.500, 0.500)

Computed properties:
Its total energy is -8.656 eV/atom. For the calculated formation energy, the calculation gives -0.7159 eV/atom.

=====

[3]
VASP calculation (PBE) on a relaxed structure of TaBeIr2W.

Cell: 4.765 4.782 4.765 Å, 90.00 90.00 90.00°
Fractional positions:
W (0.000, 0.500, 0.000)
Ta (0.000, 0.000, 0.000)
Be (0.500, 0.500, 0.500)
Ir (0.000, 0.000, 0.500)
Ir (0.500, 0.000, 0.000)

Computed properties:
Its total energy is -7.116 eV/atom. For the calculated formation energy, the calculation gives 2.1347 eV/atom.

=====

[4]
VASP calculation (PBE) on a relaxed structure of YTaBeIr2.

Cell: 3.917 3.917 6.509 Å, 107.51 107.51 90.00°
Fractional positions:
Y (0.000, 0.000, 0.000)
Ta (0.750, 0.250, 0.500)
Be (0.250, 0.750, 0.500)
Ir (0.385, 0.385, 0.770)
Ir (0.615, 0.615, 0.230)

Computed properties:
Its total energy is -8.537 eV/atom. For the calculated formation energy, the calculation gives -0.5843 eV/atom.

=====

[5]
VASP calculation (PBE) on a relaxed structure of Zr2TaBe2Ir5.

Cell: 3.438 9.325 9.325 Å, 90.00 90.00 90.00°
Fractional positions:
Be (0.000, 0.881, 0.381)
Be (0.000, 0.619, 0.881)
Be (0.000, 0.381, 0.119)
Be (0.000, 0.119, 0.619)
Ir (0.500, 0.000, 0.500)
Ir (0.500, 0.571, 0.713)
Ir (0.500, 0.213, 0.071)
Ir (0.500, 0.071, 0.787)
Ir (0.500, 0.429, 0.287)
Ir (0.500, 0.500, 0.000)
Ir (0.500, 0.787, 0.929)
Ir (0.500, 0.929, 0.213)
Ir (0.500, 0.287, 0.571)
Ir (0.500, 0.713, 0.429)
Ta (0.000, 0.500, 0.500)
Ta (0.000, 0.000, 0.000)
Zr (0.000, 0.175, 0.325)
Zr (0.000, 0.675, 0.175)
Zr (0.000, 0.825, 0.675)
Zr (0.000, 0.325, 0.825)

Computed properties:
Its total energy is -8.916 eV/atom. For the calculated formation energy, the calculation gives -0.8454 eV/atom.

=====

[6]
VASP calculation (PBE) on a relaxed structure of Tb2BeIr.

Cell: 3.995 5.620 8.225 Å, 111.85 90.00 90.00°
Fractional positions:
Be (0.750, 0.609, 0.276)
Be (0.250, 0.391, 0.724)
Ir (0.750, 0.621, 0.777)
Ir (0.250, 0.379, 0.223)
Tb (0.750, 0.218, 0.427)
Tb (0.250, 0.787, 0.070)
Tb (0.750, 0.213, 0.930)
Tb (0.250, 0.782, 0.573)

Computed properties:
The energy above the most stable polymorph in this dataset is 0.000 eV/atom. Its total energy is -5.984 eV/atom. For the calculated formation energy, the calculation gives -0.5218 eV/atom.

=====

[7]
VASP calculation (PBE) on a relaxed structure of Tb2BeIr.

Cell: 3.992 3.992 7.195 Å, 73.91 73.90 60.00°
Fractional positions:
Tb (0.891, 0.654, 0.564)
Tb (0.714, 0.477, 0.095)
Be (0.136, 0.899, 0.830)
Ir (0.469, 0.233, 0.829)

Computed properties:
The energy above the most stable polymorph in this dataset is 0.012 eV/atom. Its total energy is -5.972 eV/atom. For the calculated formation energy, the calculation gives -0.5100 eV/atom.

=====

[8]
VASP calculation (PBE) on a relaxed structure of Tb3BeIr2.

Cell: 3.956 11.622 11.223 Å, 90.00 90.00 90.00°

# Worked solution
Its total energy is -8.596 eV/atom. For the calculated formation energy, the calculation gives -0.2376 eV/atom.
Its total energy is -8.656 eV/atom. For the calculated formation energy, the calculation gives -0.7159 eV/atom.
Its total energy is -7.116 eV/atom. For the calculated formation energy, the calculation gives 2.1347 eV/atom.
Its total energy is -8.537 eV/atom. For the calculated formation energy, the calculation gives -0.5843 eV/atom.
Its total energy is -8.916 eV/atom. For the calculated formation energy, the calculation gives -0.8454 eV/atom.
The energy above the most stable polymorph in this dataset is 0.000 eV/atom. Its total energy is -5.984 eV/atom. For the calculated formation energy, the calculation gives -0.5218 eV/atom.
The energy above the most stable polymorph in this dataset is 0.012 eV/atom. Its total energy is -5.972 eV/atom. For the calculated formation energy, the calculation gives -0.5100 eV/atom.